== Wanted ==
The reader should duplicate all of the lines underneath exactly.

== Contents ==
<<<
# 1
# TlMo3Se3

A relaxed TlMo3Se3 crystal (GGA-PBE, Materials Project).

Lattice parameters (Å, degrees): 9.905 9.905 4.516 90.00 90.00 120.00
Positions (direct):
1 Tl 0.333 0.667 0.750
2 Tl 0.667 0.333 0.250
3 Mo 0.979 0.835 0.750
4 Mo 0.856 0.021 0.750
5 Mo 0.165 0.144 0.750
6 Mo 0.021 0.165 0.250
7 Mo 0.144 0.979 0.250
8 Mo 0.835 0.856 0.250
9 Se 0.284 0.957 0.750
10 Se 0.674 0.716 0.750
11 Se 0.043 0.326 0.750
12 Se 0.716 0.043 0.250
13 Se 0.326 0.284 0.250
14 Se 0.957 0.674 0.250

Formation enthalpy at 0 K = -14.906 kcal/mol of atoms
VASP energy = -96.99 eV per cell


# 2
# TlMo3Se3

A relaxed TlMo3Se3 crystal (GGA-PBE, Materials Project).

Lattice parameters (Å, degrees): 9.236 9.236 4.529 90.00 90.00 120.00
Positions (direct):
1 Tl 0.333 0.667 0.750
2 Tl 0.667 0.333 0.250
3 Mo 0.968 0.820 0.250
4 Mo 0.820 0.851 0.750
5 Mo 0.032 0.180 0.750
6 Mo 0.180 0.149 0.250
7 Mo 0.851 0.032 0.250
8 Mo 0.149 0.968 0.750
9 Se 0.936 0.643 0.750
10 Se 0.293 0.936 0.250
11 Se 0.707 0.064 0.750
12 Se 0.064 0.357 0.250
13 Se 0.643 0.707 0.250
14 Se 0.357 0.293 0.750

Formation enthalpy at 0 K = -15.870 kcal/mol of atoms
VASP energy = -97.58 eV per cell


# 3
# U2Mo15Se20

A relaxed U2Mo15Se20 crystal (GGA-PBE, Materials Project).

Lattice parameters (Å, degrees): 9.689 11.659 15.049 105.16 107.15 90.96
Positions (direct):
1 U 0.900 0.600 0.802
2 U 0.300 0.199 0.600
3 U 0.700 0.801 0.400
4 U 0.100 0.400 0.198
5 Mo 0.549 0.391 0.080
6 Mo 0.949 0.993 0.879
7 Mo 0.347 0.592 0.680
8 Mo 0.748 0.192 0.480
9 Mo 0.148 0.792 0.280
10 Mo 0.640 0.435 0.937
11 Mo 0.042 0.035 0.739
12 Mo 0.441 0.635 0.538
13 Mo 0.840 0.237 0.338
14 Mo 0.242 0.836 0.138
15 Mo 0.651 0.616 0.096
16 Mo 0.054 0.214 0.896
17 Mo 0.453 0.816 0.697
18 Mo 0.852 0.416 0.496
19 Mo 0.252 0.017 0.296
20 Mo 0.451 0.609 0.920
21 Mo 0.852 0.208 0.720
22 Mo 0.252 0.808 0.520
23 Mo 0.653 0.408 0.320
24 Mo 0.051 0.007 0.121
25 Mo 0.360 0.565 0.063
26 Mo 0.758 0.164 0.862
27 Mo 0.160 0.763 0.662
28 Mo 0.559 0.365 0.462
29 Mo 0.958 0.965 0.261
30 Mo 0.349 0.384 0.904
31 Mo 0.748 0.983 0.704
32 Mo 0.148 0.584 0.504
33 Mo 0.547 0.184 0.303
34 Mo 0.946 0.786 0.104
35 Se 0.014 0.247 0.505
36 Se 0.414 0.848 0.306
37 Se 0.814 0.447 0.104
38 Se 0.217 0.048 0.906
39 Se 0.614 0.647 0.705
40 Se 0.386 0.353 0.295
41 Se 0.783 0.952 0.094
42 Se 0.186 0.553 0.896
43 Se 0.586 0.152 0.694
44 Se 0.986 0.753 0.495
45 Se 0.720 0.019 0.323
46 Se 0.120 0.619 0.124
47 Se 0.525 0.223 0.925
48 Se 0.921 0.819 0.724
49 Se 0.321 0.418 0.524
50 Se 0.927 0.452 0.346
51 Se 0.327 0.050 0.149
52 Se 0.726 0.653 0.946
53 Se 0.127 0.252 0.746
54 Se 0.526 0.851 0.545
55 Se 0.749 0.380 0.629
56 Se 0.149 0.980 0.429
57 Se 0.550 0.581 0.229
58 Se 0.947 0.180 0.029
59 Se 0.351 0.777 0.826
60 Se 0.679 0.582 0.476
61 Se 0.079 0.181 0.276
62 Se 0.475 0.777 0.075
63 Se 0.880 0.381 0.876
64 Se 0.280 0.981 0.677
65 Se 0.474 0.149 0.455
66 Se 0.873 0.748 0.254
67 Se 0.274 0.347 0.054
68 Se 0.673 0.950 0.851
69 Se 0.073 0.548 0.654
70 Se 0.649 0.223 0.174
71 Se 0.053 0.820 0.971
72 Se 0.450 0.419 0.771
73 Se 0.851 0.020 0.571
74 Se 0.251 0.620 0.371

Formation enthalpy at 0 K = -18.741 kcal/mol of atoms
VASP energy = -551.63 eV per cell


# 4
# VMo6Se8

A relaxed VMo6Se8 crystal (GGA-PBE, Materials Project).

Lattice parameters (Å, degrees): 6.685 6.685 6.685 90.80 90.80 90.80
Positions (direct):
1 V 0.000 0.000 0.000
2 Mo 0.227 0.550 0.424
3 Mo 0.773 0.450 0.576
4 Mo 0.424 0.227 0.550
5 Mo 0.576 0.773 0.450
6 Mo 0.550 0.424 0.227
7 Mo 0.450 0.576 0.773
8 Se 0.122 0.360 0.759
9 Se 0.878 0.640 0.241
10 Se 0.224 0.224 0.224
11 Se 0.776 0.776 0.776
12 Se 0.360 0.759 0.122
13 Se 0.640 0.241 0.878
14 Se 0.759 0.122 0.360
15 Se 0.241 0.878 0.640
>>>

== Completed ==
# 1
# TlMo3Se3

A relaxed TlMo3Se3 crystal (GGA-PBE, Materials Project).

Lattice parameters (Å, degrees): 9.905 9.905 4.516 90.00 90.00 120.00
Positions (direct):
1 Tl 0.333 0.667 0.750
2 Tl 0.667 0.333 0.250
3 Mo 0.979 0.835 0.750
4 Mo 0.856 0.021 0.750
5 Mo 0.165 0.144 0.750
6 Mo 0.021 0.165 0.250
7 Mo 0.144 0.979 0.250
8 Mo 0.835 0.856 0.250
9 Se 0.284 0.957 0.750
10 Se 0.674 0.716 0.750
11 Se 0.043 0.326 0.750
12 Se 0.716 0.043 0.250
13 Se 0.326 0.284 0.250
14 Se 0.957 0.674 0.250

Formation enthalpy at 0 K = -14.906 kcal/mol of atoms
VASP energy = -96.99 eV per cell


# 2
# TlMo3Se3

A relaxed TlMo3Se3 crystal (GGA-PBE, Materials Project).

Lattice parameters (Å, degrees): 9.236 9.236 4.529 90.00 90.00 120.00
Positions (direct):
1 Tl 0.333 0.667 0.750
2 Tl 0.667 0.333 0.250
3 Mo 0.968 0.820 0.250
4 Mo 0.820 0.851 0.750
5 Mo 0.032 0.180 0.750
6 Mo 0.180 0.149 0.250
7 Mo 0.851 0.032 0.250
8 Mo 0.149 0.968 0.750
9 Se 0.936 0.643 0.750
10 Se 0.293 0.936 0.250
11 Se 0.707 0.064 0.750
12 Se 0.064 0.357 0.250
13 Se 0.643 0.707 0.250
14 Se 0.357 0.293 0.750

Formation enthalpy at 0 K = -15.870 kcal/mol of atoms
VASP energy = -97.58 eV per cell


# 3
# U2Mo15Se20

A relaxed U2Mo15Se20 crystal (GGA-PBE, Materials Project).

Lattice parameters (Å, degrees): 9.689 11.659 15.049 105.16 107.15 90.96
Positions (direct):
1 U 0.900 0.600 0.802
2 U 0.300 0.199 0.600
3 U 0.700 0.801 0.400
4 U 0.100 0.400 0.198
5 Mo 0.549 0.391 0.080
6 Mo 0.949 0.993 0.879
7 Mo 0.347 0.592 0.680
8 Mo 0.748 0.192 0.480
9 Mo 0.148 0.792 0.280
10 Mo 0.640 0.435 0.937
11 Mo 0.042 0.035 0.739
12 Mo 0.441 0.635 0.538
13 Mo 0.840 0.237 0.338
14 Mo 0.242 0.836 0.138
15 Mo 0.651 0.616 0.096
16 Mo 0.054 0.214 0.896
17 Mo 0.453 0.816 0.697
18 Mo 0.852 0.416 0.496
19 Mo 0.252 0.017 0.296
20 Mo 0.451 0.609 0.920
21 Mo 0.852 0.208 0.720
22 Mo 0.252 0.808 0.520
23 Mo 0.653 0.408 0.320
24 Mo 0.051 0.007 0.121
25 Mo 0.360 0.565 0.063
26 Mo 0.758 0.164 0.862
27 Mo 0.160 0.763 0.662
28 Mo 0.559 0.365 0.462
29 Mo 0.958 0.965 0.261
30 Mo 0.349 0.384 0.904
31 Mo 0.748 0.983 0.704
32 Mo 0.148 0.584 0.504
33 Mo 0.547 0.184 0.303
34 Mo 0.946 0.786 0.104
35 Se 0.014 0.247 0.505
36 Se 0.414 0.848 0.306
37 Se 0.814 0.447 0.104
38 Se 0.217 0.048 0.906
39 Se 0.614 0.647 0.705
40 Se 0.386 0.353 0.295
41 Se 0.783 0.952 0.094
42 Se 0.186 0.553 0.896
43 Se 0.586 0.152 0.694
44 Se 0.986 0.753 0.495
45 Se 0.720 0.019 0.323
46 Se 0.120 0.619 0.124
47 Se 0.525 0.223 0.925
48 Se 0.921 0.819 0.724
49 Se 0.321 0.418 0.524
50 Se 0.927 0.452 0.346
51 Se 0.327 0.050 0.149
52 Se 0.726 0.653 0.946
53 Se 0.127 0.252 0.746
54 Se 0.526 0.851 0.545
55 Se 0.749 0.380 0.629
56 Se 0.149 0.980 0.429
57 Se 0.550 0.581 0.229
58 Se 0.947 0.180 0.029
59 Se 0.351 0.777 0.826
60 Se 0.679 0.582 0.476
61 Se 0.079 0.181 0.276
62 Se 0.475 0.777 0.075
63 Se 0.880 0.381 0.876
64 Se 0.280 0.981 0.677
65 Se 0.474 0.149 0.455
66 Se 0.873 0.748 0.254
67 Se 0.274 0.347 0.054
68 Se 0.673 0.950 0.851
69 Se 0.073 0.548 0.654
70 Se 0.649 0.223 0.174
71 Se 0.053 0.820 0.971
72 Se 0.450 0.419 0.771
73 Se 0.851 0.020 0.571
74 Se 0.251 0.620 0.371

Formation enthalpy at 0 K = -18.741 kcal/mol of atoms
VASP energy = -551.63 eV per cell


# 4
# VMo6Se8

A relaxed VMo6Se8 crystal (GGA-PBE, Materials Project).

Lattice parameters (Å, degrees): 6.685 6.685 6.685 90.80 90.80 90.80
Positions (direct):
1 V 0.000 0.000 0.000
2 Mo 0.227 0.550 0.424
3 Mo 0.773 0.450 0.576
4 Mo 0.424 0.227 0.550
5 Mo 0.576 0.773 0.450
6 Mo 0.550 0.424 0.227
7 Mo 0.450 0.576 0.773
8 Se 0.122 0.360 0.759
9 Se 0.878 0.640 0.241
10 Se 0.224 0.224 0.224
11 Se 0.776 0.776 0.776
12 Se 0.360 0.759 0.122
13 Se 0.640 0.241 0.878
14 Se 0.759 0.122 0.360
15 Se 0.241 0.878 0.640